Friday, July 8, 2011

Life is Short, You Should get One

I woke up today feeling a little bit motivated. You see, I am a VIRGO hence the constant worries and perpetual depression. I am not mocking people who would rather end their lives than continue breathing, what I'm saying is: I embrace depression because it sort of awaken the creativity inside of me.

One of my favorite writers, Jessica Zafra once said: "Why would I end my life and make my enemies happy when I can make their lives miserable just by existing."

I love JZ. I am a big fan! A huge, enormous and gigantic fan! She is the top echelon of sarcasm and I am climbing still.

Where was I?

As you all know, I am extremely busy (or at least I should be, if I'm not bumming around complaining to the hubster) because of the upcoming Farm Wedding. It seems very odd that I feel so lazy when there are gazillion things to do. Good thing, Sissy was there to encourage me. She will be helping me with the planning for the Rehearsal Dinner on September 15th.

• Records of crystals from another source follow:
********
Record 1
Diffraction record for ScPb7. The XRD peak list is calculated, not measured: it uses a cell relaxed with PBE and Cu Kα, 1.54184 Å.

Atomic structure:
a b c (Å): 9.8424 9.8424 9.8424
angles (deg): 90.00 90.00 90.00
Space group Fm-3m (No. 225)
Unique sites:
Sc (0.0000, 0.0000, 0.0000) (multiplicity 4)
Pb (0.0000, 0.0000, 0.5000) (multiplicity 4)
Pb (0.0000, 0.2500, 0.2500) (multiplicity 24)

Most intense lines, 10 to 90 degrees two-theta, sorted by position:
| two_theta | d_spacing | Rel. int. | h k l |
| --- | --- | --- | --- |
| 31.49 | 2.841 | 100.0 | 2 2 2 |
| 36.52 | 2.461 | 50.9 | 4 0 0 |
| 52.60 | 1.740 | 36.5 | 4 4 0 |
| 62.61 | 1.484 | 43.6 | 6 2 2 |
| 65.73 | 1.421 | 12.6 | 4 4 4 |
| 77.60 | 1.230 | 6.0 | 8 0 0 |
| 86.13 | 1.129 | 19.2 | 6 6 2 |
| 88.95 | 1.100 | 18.1 | 8 4 0 |



Record 2
Diffraction record for AcAs2Pd4Pb. The XRD peak list is calculated, not measured: it uses a cell relaxed with PBE and Cu Kα, 1.54184 Å.

Atomic structure:
a b c (Å): 4.5619 4.5619 8.1652
angles (deg): 90.00 90.00 90.00
Space group P4/mmm (No. 123)
Unique sites:
Ac (0.0000, 0.0000, 0.0000) (multiplicity 1)
As (0.5000, 0.5000, 0.1617) (multiplicity 2)
Pd (0.0000, 0.5000, 0.2981) (multiplicity 4)
Pb (0.0000, 0.0000, 0.5000) (multiplicity 1)

Most intense lines, 10 to 90 degrees two-theta, sorted by position:
| two_theta | d_spacing | Rel. int. | h k l |
| --- | --- | --- | --- |
| 19.46 | 4.562 | 30.3 | 1 0 0 |
| 29.36 | 3.042 | 78.5 | 1 0 2 |
| 35.47 | 2.531 | 100.0 | 1 1 2 |
| 39.51 | 2.281 | 75.1 | 2 0 0 |
| 43.51 | 2.080 | 25.4 | 1 1 3 |
| 49.98 | 1.825 | 37.0 | 2 1 2 |
| 57.11 | 1.613 | 25.6 | 2 2 0 |
| 69.05 | 1.360 | 32.3 | 3 1 2 |



Record 3
Diffraction record for Ca3H5Br. The XRD peak list is calculated, not measured: it uses a cell relaxed with PBE and Cu Kα, 1.54184 Å.

Atomic structure:
a b c (Å): 3.7508 12.3221 10.9773
angles (deg): 90.00 90.00 90.00
Space group Cmcm (No. 63)
Unique sites:
Ca (0.0000, 0.0867, 0.2500) (multiplicity 4)
Ca (0.0000, 0.3756, 0.0373) (multiplicity 8)
H (0.0000, 0.0000, 0.0000) (multiplicity 4)
H (0.0000, 0.1922, 0.0661) (multiplicity 8)
H (0.0000, 0.4579, 0.6420) (multiplicity 8)
Br (0.0000, 0.1695, 0.7500) (multiplicity 4)

Most intense lines, 10 to 90 degrees two-theta, sorted by position:
| two_theta | d_spacing | Rel. int. | h k l |
| --- | --- | --- | --- |
| 16.50 | 5.373 | 30.6 | 0 2 1 |
| 28.99 | 3.081 | 33.4 | 0 4 0 |
| 29.75 | 3.003 | 100.0 | 1 1 2 |
| 30.13 | 2.966 | 35.7 | 0 4 1 |
| 32.63 | 2.744 | 36.1 | 0 0 4 |
| 35.02 | 2.562 | 32.4 | 1 1 3 |
| 36.33 | 2.473 | 67.2 | 1 3 2 |
| 50.87 | 1.795 | 19.9 | 1 5 3 |



Record 4
Diffraction record for Ce2AgSn3Pd4. The XRD peak list is calculated, not measured: it uses a cell relaxed with PBE and Cu Kα, 1.54184 Å.

Atomic structure:
a b c (Å): 4.2773 4.2773 12.0168
angles (deg): 90.00 90.00 90.00
Space group P-4m2 (No. 115)
Unique sites:
Ce (0.0000, 0.5000, 0.2401) (multiplicity 2)
Ag (0.5000, 0.5000, 0.0000) (multiplicity 1)
********

1 comment:

  1. And this is my favorite quote from Jessica Zafra. Don’t reference this to your blog topic as this quote is completely incongruent…

    "As you go through life, you learn many lessons. Unfortunately these lessons only apply to the specific instances in which you learned them. Therefore you can expect to make horrible mistakes no matter how long you live" Jessica Zafra (Chicken Pox for the Soul).

    And since this quote is completely unrelated…I don’t feel the need to expound or rationalize… (My stomach is really painful!)

    Back to your blog…

    I think we did well today planning activities before and after your wedding. Maybe great if we opted to skip over things like natters, chatters and blathers… and anything that ends with ERS! LOL

    Don’t worry, you will be fine. Life has unique ways of readjusting things to make it seemingly perfect for everyone (I coined this quote intended for the happy-go-lucky). Besides, with your lure and my conspiring, there's nothing to worry about. We will live life to exceed it!

    And there’s nothing to worry about being depressed, JZ quoted “Beware of those who have never been bored, depressed, or angry. There is something seriously wrong with them." Yes, seriously wrong for those people who can continuously laugh for 365 days!

    You love Jessica Zafra so I quoted her exceedingly!

    I cannot believe I wrote this while nursing a sore stomach… this is a serious multitasking!

    Now, my point is “Don’t worry, Stay Happy!” …Really.

